What are the order and events of the end times and tribulation period?
- Using Matthew and Luke for the higher level overiew of the end times one can get more details by going thru Revelation
- There are also many scriptures in the Naviim / Prophets that mirror much of the final part of the end times.
Order of Events:
- Pre-Tribulation "Birth Pains" - First parts of Mat 24 / Luk 21 - (See: Signs of the End Times)
- Rapture of the Church - 1 Thess 5:1-11 / Rev 3:10 / 2 Thess 2:1-5
- Local war or country borders changed
First Seal : White Horse, Rider is a Conquerer with Bow and Crown rides out - Rev 6:1-2 - World or Large scale War
Second Seal : Red Horse, Rider takes peace from earth and makes people kill each other, given a large sword - Rev 6:3-4 - Food Scarcity/Famine
Third Seal : Black Horse, Rider has scales, 1 pounds of wheat for 1 day wages, 6 pounds of barley for 1 day wages, don't damage oil or wine - Rev 6:5-6 - War, Famine, Diseases, Animal Attacks over 25% of the earth
Fourth Seal : Pale Horse, Rider is named Death, Hades followed behind, Power over 1/4 of the earth to kill by sword, famine and plague and wild beasts - Rev 6:7-8 - Execution of Believers
Fifth Seal : Those slain because of Word of God and their Testimony, given white robe and told to wait until others like them killed as they were - Rev 6:9-11 - Great Earthquake - Smoke & Fires cause sun/moon/sky to change appearance
Sixth Seal : Great earthquake, sun turns black, moon appears red, stars fall, every mountain and island moved, people afraid of the coming wrath - Rev 6:12-17 - No Wind / Sealing of Jewish Believers
Four angels stop wind on land and sea, another angel says "do not harm the land or sea or trees, until we put a seal on foreheads of the servants of our God" - Rev 7:1-8 - Great Multitude in White Robes before the Throne
Great multitude in white robes, no one could count, with palm branches, worshipping God, they have come out of the great tribulation and washed their robes and made white in the blood of the lamb - Rev 7:9-17 - Silence in Heaven
Seventh Seal : Silence in Heaven for about half an hour - Rev 8:1 - Thunder Lightning and Earthquake - Rev 8:2-5
- Hail and Large Scale Fire
First Trumpet : Hail and Fire mixed with Blood, 1/3 of Earth burned up, 1/3 of trees burned up, All green grass burned up - Rev 8:6-7 - Meteor like impact
Second Trumpet : Something like huge mountain thrown into Sea, 1/3 of Sea to blood, 1/3 of sea creatures die, 1/3 of ships destroyed - Rev 8:8-9 - Comet like impact - Poisons freshwater
Third Trumpet : Star like torch fell from sky, on 1/3 of rivers and springs of waters, poisons water and many people die - Rev 8:10-11 - Sun and Sky darkens
Fourth Trumpet : 1/3 of sun struck, 1/3 of moon, 1/3 of stars so turns dark, no light for 1/3 of day and 1/3 of night- Rev 8:12 - Smoke from Abyss and Locust like Scorpions sting people
Fifth Trumpet : Locusts with stingers, do not harm grass, plants or trees, only people not sealed by G-d, do not kill but torture for 5 months - Rev 9:1-11 - 1/3 of Mankind Killed by Angels and Army
Sixth Trumpet : Breastplates colored bright red, dark bluee and yellow, Fire, Smoke and Sulfur kills people - Rev 9:13-21 - Antichrist takes over Holy City (Jerusalem) for 3.5 years / 42 months
Second 3.5 years of Tribulation Begins : outer court given to the Gentiles. They will trample on the holy city for 42 months - Rev 11:1-2 - Two Witnesses Prophesy for 1260 days clothed in sackcloth
Two Witnesses : Two witnesses, if anyone tries to harm them fire comes from their mouth, they stop rain, turn water to blood, strike earth with plagues - Rev 11:3-6 - Two Witnesses Killed and Ressurect
Two Witnesses : Beast from Abyss will attack them and kill them. For 3.5 days bodies lie exposed and people celebrate. Then they breathe, stand and go up to heaven in a cloud - Rev 11:7-12 - Earthquake in Holy City right after the two witnesses
Earthquake in Jerusalem : Tenth of city collapses, Seven thousand people killed. Survivors give glory to God - Rev 11:13-14 - Lightning, Thunder, Earthquake and Severe Hailstorm
Seventh Trumpet : 24 Elders worship God, Time for God to begin to reign and judge, Ark of Covenant seen in temple - Rev 11:15-19 - Beast comes and is worshipped - one of the Heads/Leaders fatal wound healed
The Beast : Beast comes out of Sea (out of multitude of people) 10 Horns/Crowns, 7 Heads (rulers or areas of rule), all the earth/nations/people worship whose name is not written in the Lamb's book of life. Authority to wage war and conquer Gods holy people. - Rev 13:1-10 - Second Beast comes, performs signs, makes people worship the first beast
Second Beast : Two horns like a Lamb but speaks like a Dragon, Makes all earth worship first beast, calls down fire from heaven, deceived inhabitants of earth. Sets up image of first beast and forces people to worship it or be killed - Rev 13:11-15 - Mark required to buy or sell
Mark of the Beast : All people required to have mark on right hands or forehead to buy or sell, number is 666 - Rev 13:16-18 - Song with the Lamb from the 144,000
The 144,000 : The Lamb standing on Mt. Zion and with him the 144,000 - Rev 14:1-5 - Flying Angel proclaims Gospel
First Angel : Angel flying midair, eternal gosepl to proclaim to every nation, tribe, language and people. - Rev 14:6-7 - Second Angel proclaims Babylon has Fallen
Second Angel : Second angel follows and said "Fallen! Fallen is Babylon the Great, which made all the nations drink the maddening wine of her adulteries." - Rev 14:8 - Angel warns everyone not to take the Mark
Third Angel : Third angel in a loud voice warns that if anyone worships the beast and takes the mark on their forehead or hand they will be tormented with burning sulfur forever and ever - Rev 14:9-13 - Righteous of the earth harvested
Son of Man on Cloud Harvests : Seated on cloud, one like a son of man with crown of gold on head and sharp sickle in his hand, swings it over earth and earth is harvested - Rev 14:14-16 - Sinners trampled in winepress of Gods wrath
Trampling of Winepress : Angel in heaven with a sharp sickle, hears from angel in charge of fire to gather the grapes, so swings sickle, gathers grapes and throws into great winpress of Gods wrath. Trampled outside the city, blood flows out as high as a horses bridle for 180 miles - Rev 14:17-20 - Victorious in heaven sing and angels prepare seven plagues
Seven Angels with Plagues and The Victorious in Heaven : Last seven plagues given to seven angels and given seven bowls of Gods wrath. Those victorious over beast and image given harps and sing song of Moses and of the Lamb - Rev 15:1-6 - Sores break out on those who worshipped the beast
First Bowl : First angel pours out bowl and ugly festering sores break out on those who had mark of the beast worshipped its image - Rev 16:1-2 - Seas turn to blood
Second Bowl : Second angel pours out bowl on sea, and turns to blood, and every living thing in the sea dies - Rev 16:3 - Rivers and Springs turn to blood
Third Bowl : Third angel pours out on rivers and springs of water and they become blood. Unrighteous now have blood to drink as they shed the blood of the holy people and prophets - Rev 16:4-7 - Sun scorches people
Fourth Bowl : Fourth angel pours out on sun, and sun scorches people with fire. People seared with heat, cursed God, but refused to repent and glorify him - Rev 16:8-9 - Kingdom of the Beast in Darkness
Fifth Bowl : Fifth angel pours on throne of the beast, kingdom plunged into darkness. People gnaw tongues in agony, curse God for pains and sores but refuse to repent. - Rev 16:10-11 - River Eurphrates dries up, gather together at Armageddon
Sixth Bowl : Sixth angel pours out on river Euphrates, water dried up to prepare way for kings from the East. Three impure spirits come out mouth of Dragon, Beast and False Prophet and perform signs to gather kings together for battle on the great day of God Almighty. - Rev 16:12-16 - Largest earthquake ever, Huge hailstones
Seventh Bowl : Seventh angel pours out bowl into the air, lightning, rumbling, thunder and severe earthquake. No earthquake like it has ever occurred, great city split into 3 parts, cities of nations collapse. Every island flattened and mountains not found. From sky huge hailstones each about 100 pounds fell on people. They cursed God because hail plague was so terrible. - Rev 16:17-21 - Bablyon / City that rules over kings of the earth destroyed
Babylon the Prostitute and the Beast : Woman/Prostitute is great city that rules over kings of the earth. Rides on Beast, who is an eight king who will go to destruction. Seven horns are seven hills and seven kings where the city is. Ten horns are ten kings who will rule for one "hour" with the beast and wage war agains the Lamb, but Lamb will triumph. The beast will hate the woman and will destroy it. City will be consumed by fire, smoke will rise up, city never used again. - Rev 17 and Rev 18 - Great multitude in Heaven shout and praise Hallelujah
Great multitude in Heaven shout Hallelujah : Great multitude in heaving shouting Hallelujah! Blessed are those invited to the wedding supper of the Lamb! - Rev 19:1-10 - Battle of Armageddon, Beast and False Prophet thrown into Lake of Fire
Armageddon, Defeat of Beast and False Prophet : White Horse, rider is King of Kings and Lord of Lords. Armies of heaven follow on white horses dressed in fine linen white and clean. He treads the winepress of the fury of the wrath of God. Beast, kings and armies gather but beast and false prophet captured and thrown alive into fiery lake of sulphur. Rest killed with sword coming out of the mouth of the rider on the horse. - Rev 19:11-19 - Messiah Reigns for 1000 years with believers / First Ressurection
Post-Tribulation: 1000 Year Reign : Satan bound for 1000 years and thrown into the Abyss. Those beheaded and who did not receive mark came to life, and reigned with Christ for 1000 years. The second death has no power over them and they will be priests of God and of Christ and reign with him for 1000 years. - Rev 20:1-6 - Satan Released / Battle of Gog and Magog / Devil thrown into Lake of Fire
Satan Released / Battle of Gog and Magog : After 1000 years Satan released from prison, goes out to deceieve nations of the earth, Gog and Magog, gathers them together for battle. Number like sand on the seashore. March across the earth, surround the camp of God's people, city he loves. But fire comes down from heaven and devours them. Devil thrown into lake of fire where beast and false prophet are, tormented for ever and ever. - Rev 20:7-10 - Judgement of Dead / Second Ressurection / Second Death / Earth Destroyed
Great White Throne / Judgement of Dead / Second Ressurection : Great white throne, earth and heavens fled. Dead judged according to the books. Death and Hades thrown into lake of fire, and anyone whose name was not found in the Book of Life. Lake of fire is the second death. - Rev 20:11-15 - New Heaven and New Earth and New Jerusalem
New Heaven and New Earth : New heavan and new earth as first earth had passed away and no longer any sea. Holy City, New Jerusalem coming down out of heaven from God. Gods dwelling place now among the people. - Rev 21:1-8 - New Jerusalem and Bride of Lamb
New Jerusalem and Bride of Lamb : Holy City Jerusalem coming down from Heaven, shines with glory of God. Laid out square About 1400 miles each side, walls 200 feet thick made of jewels. Gates made of single pearl. Great street of the city made of Gold. No temple since God and the Lamb are its temple. Glory of God gives it light. Nothing impure will ever enter it, only those whose names are written in the Lamb's book of life. - Rev 21:9-22 - Eden Restored: River of water of life, Tree of life
River of water of life, Tree of life : River of water of life flows from throne down middle of the great street of the city. Tree of Life stands over each side of the river, bears 12 crops of fruit, bearing its fruit each month. Leaves are for healing of the nations. Lord God will give them light. - Rev 22:1-21
36 "But about that day or hour no one knows, not even the angels in heaven, nor the Son, but only the Father.
37 As it was in the days of Noah, so it will be at the coming of the Son of Man.
38 For in the days before the flood, people were eating and drinking, marrying and giving in marriage, up to the day Noah entered the ark;
39 and they knew nothing about what would happen until the flood came and took them all away. That is how it will be at the coming of the Son of Man.Matthew 24:36-38 (NIV)
12 "Look, I am coming soon! My reward is with me, and I will give to each person according to what they have done.
____________
1.
32
Lattice="11.456 -4.942 0.000 11.456 4.942 0.000 -1.932 0.000 9.184" Properties=species:S:1:pos:R:3 comment="RbAsSe2 meta-GGA SCAN PBEsol geometry" total_magnetization_mub_per_cell=0.000 dft_energy_ev_per_cell=-671.757 spacegroup="No. 15" pbc="T T T"
Rb 10.007 4.710 6.888
Rb 3.949 0.718 3.107
Rb 2.983 -0.718 7.699
Rb 10.007 0.354 6.888
Rb 10.973 -0.354 2.296
Rb 17.997 0.718 1.485
Rb 17.031 -0.718 6.077
Rb 10.973 -4.710 2.296
As 8.361 2.007 3.128
As 6.173 1.435 8.719
As 13.586 2.007 1.465
As 7.139 -1.435 4.126
As 13.841 1.435 5.058
As 7.394 -2.007 7.720
As 14.807 -1.435 0.466
As 12.620 -2.007 6.057
Se 1.260 0.782 5.175
Se 6.635 2.144 1.364
Se 2.226 -0.782 0.582
Se 10.195 2.266 0.124
Se 7.053 0.916 4.903
Se 11.751 2.266 4.468
Se 8.020 -0.916 0.311
Se 15.311 2.144 3.228
Se 5.669 -2.144 5.956
Se 12.961 0.916 8.873
Se 9.229 -2.266 4.716
Se 13.927 -0.916 4.281
Se 10.785 -2.266 9.060
Se 18.754 0.782 8.602
Se 14.345 -2.144 7.820
Se 19.720 -0.782 4.010

2.
5
Lattice="5.640 0.000 0.000 0.000 5.640 0.000 0.000 0.000 5.337" Properties=species:S:1:pos:R:3 comment="RbSrAsSe2 meta-GGA SCAN PBEsol geometry" total_magnetization_mub_per_cell=0.000 dft_energy_ev_per_cell=-102.301 spacegroup="No. 123" pbc="T T T"
Rb 0.000 0.000 0.000
Sr 2.820 2.820 2.669
As 0.000 0.000 2.669
Se 0.000 2.820 0.000
Se 2.820 0.000 0.000

3.
5
Lattice="5.525 0.000 0.000 0.000 5.525 0.000 0.000 0.000 5.335" Properties=species:S:1:pos:R:3 comment="RbTeAs2Se meta-GGA SCAN PBEsol geometry" total_magnetization_mub_per_cell=0.793 dft_energy_ev_per_cell=-110.055 spacegroup="No. 123" pbc="T T T"
Rb 0.000 0.000 0.000
Te 2.763 2.763 2.667
As 0.000 2.763 0.000
As 2.763 0.000 0.000
Se 0.000 0.000 2.667

=====

[1]
! MgScN | Alexandria | PBE-GGA | optimized geometry; values from VASP
! Formation energy from raw total energies ... -0.51 eV/atom
! M_tot ... 0.0 μB per formula unit
! ρ ... 3.05 g/cm³
&SYSTEM
  ibrav = 0, nat = 6, ntyp = 3
/
ATOMIC_SPECIES
Sc 44.96 Sc.upf
Mg 24.30 Mg.upf
N 14.01 N.upf
ATOMIC_POSITIONS crystal
Sc 0.338 0.838 0.133
Sc 0.838 0.338 0.867
Mg 0.842 0.842 0.500
Mg 0.342 0.342 0.500
N 0.830 0.330 0.140
N 0.330 0.830 0.860
CELL_PARAMETERS angstrom
-1.697 -1.613 2.532
2.963 -1.366 1.118
1.061 6.026 4.550

***

[2]
! MnPt2W | Alexandria | PBE-GGA | optimized geometry; values from VASP
! M_tot ... 0.0 μB per formula unit
! Formation energy ... 0.343 eV per atom
! ρ ... 16.62 g/cm³
&SYSTEM
  ibrav = 0, nat = 8, ntyp = 3
/
ATOMIC_SPECIES
Pt 195.08 Pt.upf
Mn 54.94 Mn.upf
W 183.84 W.upf
ATOMIC_POSITIONS crystal
Pt 0.375 0.384 0.750
Pt 0.134 0.625 0.250
Pt 0.616 0.125 0.250
Pt 0.875 0.866 0.750
Mn 0.250 0.750 0.500
Mn 0.500 0.500 0.000
W 0.750 0.250 0.500
W 0.000 0.000 0.000
CELL_PARAMETERS angstrom
-2.121 2.291 -2.026
0.501 -2.172 -2.981
-8.163 -4.745 -0.237

***

[3]
! TiBMo | Alexandria | PBE-GGA | optimized geometry; values from VASP
! M_tot ... 0.2 μB per formula unit
! Formation energy ... -0.074 eV per atom
! ρ ... 6.67 g/cm³
&SYSTEM
  ibrav = 0, nat = 3, ntyp = 3
/
____________
13 I am the Alpha and the Omega, the First and the Last, the Beginning and the End.
14 "Blessed are those who wash their robes, that they may have the right to the tree of life and may go through the gates into the city.
15 Outside are the dogs, those who practice magic arts, the sexually immoral, the murderers, the idolaters and everyone who loves and practices falsehood.Revelation 22:12-14 (NIV)